Who knows what the kids are doing online, right? They’ve got their TikToks and their Snapchats and their flop Instagram accounts, while parents are still posting on Facebook and Twitter. The disconnect between how the olds and their children use the internet leads to parental anxiety, and in the case of this week’s resurfacing of the viral fake Momo challenge, panic and misinformation.
The Momo challenge, according to breathless news reports and posts from worried parents and law enforcement, is a game circulating on social media that encourages kids to engage in increasingly harmful behavior until, eventually, they’re supposed to commit suicide and upload the video to the internet.
Momo is basically every parent’s nightmare. But as multiple outlets have pointed out, there’s no evidence that it's a real viral challenge. The admittedly freaky image of “Momo” is based on a sculpture by a Japanese artist. While claims of suicides connected to the challenge started surfacing last year, according to Snopes, authorities have never definitively tied any cases to participation in an online game. YouTube—which had been reported as hosting Momo videos—released a statement Wednesday saying it hasn’t encountered Momo videos on the site, and the “extremely online” teens reading warnings about Momo from their parents have responded with, well, eye rolls.
Hey Know-It-Alls! How much screen time should my kids get?
Momo appears to be another example not of dangerous behavior going viral, but of a hoax going viral. It’s what youth advocate Anne Collier calls a “viral media scare.” These are the “razor blades in the Halloween candy” myths of today. And just as that pernicious worry spread in the offline era, Momo and its ilk are boosted along the way not only by concerned parents trying to warn others, but also by the news media, which picks up those warnings and amplifies them.
The result, experts say, is that while the Momo scare didn’t start out real, the attention it’s receiving can actually have the opposite effect of what’s intended: All these warnings can raise the risk that teens or young children would learn about the challenge and take it seriously—or at least be freaked out by the scary image of Momo itself.
When Trying to Help Hurts
If you see a warning on social media about a dangerous viral challenge, like the tweet that seems to have reignited the interest in Momo this week, take a breath. Pause. Before you hit retweet or share, ask yourself two things. “‘Do I know who this behavior will benefit? And what information am I lacking?’ If you can’t answer what you don’t know, and if you can’t answer who is going to benefit from your action, then pause,” says Whitney Phillips, a professor of media literacy at Syracuse University.
-- Calculated crystals from another source follow --
Record 1
Structure and calculated X-ray diffraction stick pattern of La2PBr2 (DFT lattice parameters and positions (PBE); Cu Kα, 1.54184 Å).
Lines closer than 0.1° are merged.

The 10 most intense peaks (15° ≤ 2θ ≤ 90°), low angle first:
two_theta	intensity	(hkl)
17.36	10	0 0 2
24.09	22	1 0 0
29.84	100	0 1 2
42.37	31	1 1 0
43.05	30	1 0 4
52.68	20	2 0 2
61.99	10	0 2 4
69.82	17	1 2 2
70.80	12	1 1 6
77.97	10	2 1 4

```
data_La2PBr2
_space_group_name_H-M_alt 'P -3 m 1'
_space_group_IT_number 164
_space_group_name_Hall '-P 3 2"'
_cell_length_a 4.2665
_cell_length_b 4.2665
_cell_length_c 10.2174
_cell_angle_alpha 90.00
_cell_angle_beta 90.00
_cell_angle_gamma 120.00
loop_
_atom_site_label
_atom_site_type_symbol
_atom_site_fract_x
_atom_site_fract_y
_atom_site_fract_z
_atom_site_occupancy
La1 La 0.3333 0.6667 0.1606 1
P1 P 0.0000 0.0000 0.0000 1
Br1 Br 0.3333 0.6667 0.6559 1
```

Record 2
Structure and calculated X-ray diffraction stick pattern of Rb2LaBr5 (DFT lattice parameters and positions (PBE); Cu Kα, 1.54184 Å).
Lines closer than 0.1° are merged.

The 10 most intense peaks (15° ≤ 2θ ≤ 90°), low angle first:
two_theta	intensity	(hkl)
24.58	27	2 2 1
26.89	66	4 0 1
28.19	100	1 2 2
28.31	53	3 2 1
30.24	63	2 2 2
31.26	43	4 2 0
34.18	42	2 1 3
37.71	66	0 4 0
38.05	46	5 2 1
40.75	32	0 0 4

```
data_Rb2LaBr5
_space_group_name_H-M_alt 'P n m a'
_space_group_IT_number 62
_cell_length_a 14.3024
_cell_length_b 9.5447
_cell_length_c 8.8550
_cell_angle_alpha 90.00
_cell_angle_beta 90.00
_cell_angle_gamma 90.00
loop_
_space_group_symop_operation_xyz
'x,y,z'
'-x,-y,-z'
'-x+1/2,-y,z+1/2'
'x+1/2,y,-z+1/2'
'x+1/2,-y+1/2,-z+1/2'
'-x+1/2,y+1/2,z+1/2'
'-x,y+1/2,-z'
'x,-y+1/2,z'
loop_
_atom_site_label
_atom_site_type_symbol
_atom_site_fract_x
_atom_site_fract_y
_atom_site_fract_z
_atom_site_occupancy
Rb1 Rb 0.1725 0.0049 0.0531 1
La1 La 0.0041 0.2500 0.5736 1
Br1 Br 0.0088 0.2500 0.9144 1
Br2 Br 0.0745 0.5425 0.6605 1
Br3 Br 0.1744 0.2500 0.3782 1
Br4 Br 0.1984 0.7500 0.3399 1
```

~~~~~

# SrNpGa2Br8
Theoretical XRD peak list, Cu Kα, 1.54184 Å. Input: a crystal structure in Alexandria, relaxed with PBE.
Kinematic intensities with the Lorentz-polarization factor, no thermal factor.

Peak list (10 most intense, 10 to 90 degrees two-theta, in order of rising 2θ)
| two_theta | I (rel.) | index |
| --- | --- | --- |
| 17.2 | 81 | 1 0 -1 |
| 17.9 | 58 | 1 0 1 |
| 23.5 | 46 | 1 2 0 |
| 26.3 | 100 | 1 2 -1 |
| 28.0 | 46 | 1 0 2 |
| 34.3 | 79 | 2 2 -1 |
| 35.1 | 48 | 2 2 1 |
| 36.2 | 33 | 2 0 2 |
| 40.2 | 38 | 0 4 0 |
| 42.3 | 72 | 0 2 3 |

Structural model:
```
SrNpGa2Br8
1.0
7.022 0.000 0.000
0.000 8.972 0.000
-0.298 0.000 7.294
Sr Np Ga Br
1 1 2 8
Direct
0.000 0.000 0.000
0.000 0.500 0.000
0.500 0.237 0.500
0.500 0.763 0.500
0.223 0.271 0.851
0.223 0.729 0.851
0.230 0.500 0.310
0.271 0.000 0.337
0.729 0.000 0.663
0.770 0.500 0.690
0.777 0.271 0.149
0.777 0.729 0.149
```
Hoaxes like this are created by people with an agenda. And that agenda is virality and panic. The moment you share, you are playing right into their hands.
Playing into their hands isn’t just bad because it gives bad people what they want. It also risks actually hurting the children you’re hoping to help by sharing the information in the first place. “The immediate risk is that more people will be exposed to the hoax, with some of those, possibly, attempting to enact the behaviors,” says Phillips. Virality itself can be a vector for harm. Additionally, some bad actors out there might try to capitalize on the virality of Momo and use it as a weapon to target vulnerable kids; essentially, to copycat on what the hoax claims to be and then attempt to push kids to actually harm themselves.
It’s not just parents who are vulnerable to accidentally spreading hoaxes in an effort to help children. One WIRED staffer said their child’s school sent around a warning about Momo this week, and Taylor Lorenz at The Atlantic notes that even law enforcement can be taken in, choosing to err on the side of sending a warning rather than ignoring it. Speaking as a parent myself, I understand it’s hard to ignore an alert about something that could potentially hurt your kids.
Hoaxes Play on Our Reptilian Brains
As parents, it’s our job to keep our children safe. And the internet, with all its nooks and crannies and fast-moving parts, presents a particularly fraught minefield for kids. Chantal Pontvin, a parent I interviewed earlier this month about social media and kids, put it this way: “My friends have a lot of fear about social media and their children and what they might be doing. They have no interaction with their kids online. They have no idea,” she told me.
Couple that opacity with stories like the one this week about cartoons on YouTube being spliced with instructions on how to kill yourself—videos that have been confirmed to exist—and it’s enough to make some parents want to raise their kids in the woods without internet access. It certainly creates a feeling that something like the Momo challenge, or the Tide Pod Challenge or the Blue Whale game, or any of the other viral hoaxes could very well be reality. The world is a crazy place!
Monica Bulger
_Calculated crystals that have nothing to do with the page_
Starting from a cell relaxed with PBE, the X-ray diffraction stick pattern of Tb5Pm4Er4 was simulated for Cu Kα, 1.54184 Å.

Most intense lines, 15° ≤ 2θ ≤ 90°, in order of rising 2θ:
2theta	d/Å	I_rel
30.66	2.916	100
35.51	2.528	34
35.64	2.519	17
51.09	1.788	12
51.19	1.784	24
60.77	1.524	29
60.95	1.520	14
63.85	1.458	12

Atomic structure:
a = 9.4576 Å, b = 9.4576 Å, c = 9.4576 Å
α = 94.07°, β = 94.07°, γ = 149.11°
Element x y z (fractional)
1 Tb 0.0000 0.0000 0.0000
2 Tb 0.3095 0.4605 0.7700
3 Tb 0.4605 0.6905 0.1509
4 Tb 0.5395 0.3095 0.8491
5 Tb 0.6905 0.5395 0.2300
6 Pm 0.0778 0.6173 0.6951
7 Pm 0.3827 0.0778 0.4605
8 Pm 0.6173 0.9222 0.5395
9 Pm 0.9222 0.3827 0.3049
10 Er 0.1536 0.2303 0.3839
11 Er 0.2303 0.8464 0.0766
12 Er 0.7697 0.1536 0.9234
13 Er 0.8464 0.7697 0.6161

---

Starting from a cell relaxed with PBE, the X-ray diffraction stick pattern of MgAg5 was simulated for Cu Kα, 1.54184 Å.

Most intense lines, 15° ≤ 2θ ≤ 90°, in order of rising 2θ:
2theta	d/Å	I_rel
37.49	2.399	100
42.44	2.130	17
43.60	2.076	16
44.64	2.030	15
62.48	1.487	11
74.37	1.276	12
76.00	1.252	12
77.49	1.232	11

Atomic structure:
a = 6.7184 Å, b = 6.7184 Å, c = 4.0601 Å
α = 90.00°, β = 90.00°, γ = 144.00°
Element x y z (fractional)
1 Mg 0.0000 0.0000 0.0000
2 Ag 0.1661 0.8339 0.5000
3 Ag 0.3343 0.6657 0.0000
4 Ag 0.5000 0.5000 0.5000
5 Ag 0.6657 0.3343 0.0000
6 Ag 0.8339 0.1661 0.5000

---

Starting from a cell relaxed with PBE, the X-ray diffraction stick pattern of La4NdY5 was simulated for Cu Kα, 1.54184 Å.

Most intense lines, 15° ≤ 2θ ≤ 90°, in order of rising 2θ:
2theta	d/Å	I_rel
27.82	3.207	24
29.06	3.073	100
30.25	2.955	51
31.12	2.874	41
35.41	2.535	49
36.66	2.451	17
50.94	1.793	15
52.45	1.745	34

Atomic structure:
a = 10.7567 Å, b = 10.7567 Å, c = 5.9639 Å
α = 90.00°, β = 90.00°, γ = 90.00°
Element x y z (fractional)
1 La 0.0446 0.7500 0.1282
2 La 0.2500 0.5446 0.8718
3 La 0.2500 0.9554 0.8718
4 La 0.4554 0.7500 0.1282
5 La 0.5446 0.2500 0.8718
6 La 0.7500 0.0446 0.1282
7 La 0.7500 0.4554 0.1282
8 La 0.9554 0.2500 0.8718
9 Nd 0.2500 0.2500 0.8860
10 Nd 0.7500 0.7500 0.1140
11 Y 0.0890 0.0890 0.3437
12 Y 0.0890 0.4110 0.3437
13 Y 0.2500 0.7500 0.5000
14 Y 0.4110 0.0890 0.3437
15 Y 0.4110 0.4110 0.3437
16 Y 0.5890 0.5890 0.6563
17 Y 0.5890 0.9110 0.6563
18 Y 0.7500 0.2500 0.5000
19 Y 0.9110 0.5890 0.6563
20 Y 0.9110 0.9110 0.6563

---

Starting from a cell relaxed with PBE, the X-ray diffraction stick pattern of SmDy3YTm was simulated for Cu Kα, 1.54184 Å.

Most intense lines, 15° ≤ 2θ ≤ 90°, in order of rising 2θ:
2theta	d/Å	I_rel
24.35	3.656	20
28.96	3.083	15
29.38	3.040	17
31.21	2.866	100
31.32	2.856	34
32.41	2.763	31
32.54	2.752	29
37.47	2.400	18

Atomic structure:
a = 9.6833 Å, b = 9.6833 Å, c = 7.3116 Å
α = 90.33°, β = 90.33°, γ = 34.44°
Element x y z (fractional)
1 Sm 0.0389 0.0389 0.2524
2 Sm 0.9611 0.9611 0.7476
3 Dy 0.1710 0.1710 0.7448
4 Dy 0.2150 0.2150 0.2513
5 Dy 0.4773 0.4773 0.2559
6 Dy 0.5227 0.5227 0.7441
7 Dy 0.7850 0.7850 0.7487
“All compelling hoaxes have a kernel of truth,” says Monica Bulger, senior fellow at the Future of Privacy Forum, who studies children's rights and media literacy. “And they play into our reptilian minds.” By that she means not only that they play into our biggest fears, but that they sound similar enough to other stories we’ve heard that our brains, which largely run on autopilot, interpret them as being true. This is the illusory truth effect—a glitch in human reasoning that makes things that are familiar feel true. It’s why sometimes even fact-checking a lie can ultimately lead to more people believing it, because it increases the lie’s exposure.
Viral hoax creators know this. “Many meme creators are highly skilled at playing to fears and biases. There are the general things that parents fear, and the top one is child safety,” says Bulger. “Parents need to remember that just because something feels right doesn’t mean it is. You actually can’t trust your gut.” The best way to guard against this cognitive glitch is just to be aware of it.
So what should you do next time you come across some dire warning on the internet, especially if it’s something that hasn’t been debunked? Dramatic reports about kids’ behavior online can be a bit like other kinds of high-profile incidents prone to misinformation, and experts have some suggestions for how to treat them.
Pause, but Then What?
Bulger says that after you pause, wait. Wait a few days. Wait before talking to your kids. Wait and see if you get an actual warning from your school or law enforcement. And if you do get one, like my colleague did, consider whether it includes corroboration. School districts and police departments are authorities, sure, but enough of them have proved to be just as vulnerable to these panics. Are people reporting that any children have actually encountered this or hurt themselves? If the answer is yes, then talk to your child about it. If they bring it up, react with understanding, not panic.
There’s a good reason not to just immediately bring up with your child every viral meme or challenge that you hear about. You could traumatize them, says Bulger. She notes that constant panicked warnings from parents to kids about what they are seeing online are a little like active shooting drills in schools, in that they themselves can do damage. “What causes more harm, the initial meme or the panicked response to it?” she asks.
What’s clear, though, is that like shooter drills, warnings about the Momos of the internet are responses to a real problem. The internet is, in fact, a dangerous and hard-to-understand place. It’s full of creeps, bullies, conspiracy theorists, and extremists. And though hoaxes and memes are most often harmless, they aren’t always. Take Pizzagate, which resulted in someone shooting into a restaurant, and SlenderMan, which inspired two tweens to try to kill their classmate. “Part of what makes our contemporary moment so anxiety inducing is that nothing makes sense,” says Phillips. It’s hard to tell truth from fiction, meme from contagious suicide pact.
What you can do to help your kids navigate this crazy world is encourage an open dialogue about social media and the internet. This will make them resilient, and more able to see something like Momo and not fall victim to it. Don’t, says Bulger, respond by trying to control everything your kids see online. After a certain age, at least, they will come into contact with the internet whether you like it or not.
“So be a safe space for your child to talk to you. It shouldn’t be this constant bombardment of questions about these hoaxes—did you see this Momo thing? Embed internet and media literacy in the daily rhythms of the family,” says Bulger. She wants you to let your kids know: “We’re all online, we’re all figuring this out, and we are a safe space for you to talk about anything you see.”
And most importantly, don’t panic.
Updated on 2-28-2019 at 9:41pm EST to correct details about the Pizzagate-related shooting.